Dale Sanders celebrated his arrival at the Gulf of Mexico last fall with a much-deserved glass of champagne. He’d spent the previous 80 days paddling the Mississippi River, a 2,300-mile stretch of water known for its difficult portages, countless dams and intimidating freighter boats.
Even when Sanders reached the salt waters in his Wenonah Wilderness, what he’d achieved hadn’t entirely sunk in. In addition to raising over $22,000 for Type 1 diabetes research, Sanders had set a world record. At 80 years old, the “Grey Beard Adventurer” had become the oldest person in the world to solo paddle the river from source to sea.
80-year-old paddles Mississippi River source to sea
1 Who was your canoe Anna named for?
My grandniece, Anna, was diagnosed with Juvenile Type 1 Diabetes when she was four. I had considered several different causes, but none of them seemed to click, until I got that feeling in my gut that this was the thing—to paddle for the kids.
I saw so much suffering from diabetic children whose parents brought them to the water’s edge. I paddled the full Mississippi River—under every bridge, around every dam, through life-threatening conditions, in record high waters—all for those kids suffering from T1 Diabetes.

Inserted here: crystal structures
____________
Record 1
Computed XRD peak list of Al6Ge5 for copper Kα, from a DFT-relaxed cell (PBE, the Materials Project).

Main lines, low angle first (10 to 90 degrees two-theta):
- 2θ = 26.79°, intensity 100
- 2θ = 27.55°, intensity 42
- 2θ = 28.11°, intensity 27
- 2θ = 31.77°, intensity 25
- 2θ = 38.81°, intensity 48
- 2θ = 45.01°, intensity 22
- 2θ = 47.32°, intensity 36
- 2θ = 47.79°, intensity 45

Structure:
Lattice parameters (Å, degrees): 7.721 7.721 7.721 96.57 96.57 96.57
Positions (direct):
Al: 0.016 0.331 0.928
Al: 0.072 0.984 0.669
Al: 0.169 0.484 0.572
Al: 0.331 0.928 0.016
Al: 0.428 0.831 0.516
Al: 0.484 0.572 0.169
Al: 0.516 0.428 0.831
Al: 0.572 0.169 0.484
Al: 0.669 0.072 0.984
Al: 0.831 0.516 0.428
Al: 0.928 0.016 0.331
Al: 0.984 0.669 0.072
Ge: 0.102 0.750 0.398
Ge: 0.143 0.143 0.143
Ge: 0.250 0.602 0.898
Ge: 0.357 0.357 0.357
Ge: 0.398 0.102 0.750
Ge: 0.602 0.898 0.250
Ge: 0.643 0.643 0.643
Ge: 0.750 0.398 0.102
Ge: 0.857 0.857 0.857
Ge: 0.898 0.250 0.602

Record 2
Computed XRD peak list of BaCu2Sb2 for copper Kα, from a DFT-relaxed cell (PBE, the Materials Project).

Main lines, low angle first (10 to 90 degrees two-theta):
- 2θ = 31.24°, intensity 64
- 2θ = 31.65°, intensity 100
- 2θ = 38.45°, intensity 72
- 2θ = 43.10°, intensity 26
- 2θ = 46.10°, intensity 27
- 2θ = 50.34°, intensity 34
- 2θ = 55.50°, intensity 25
- 2θ = 65.31°, intensity 24

Structure:
Lattice parameters (Å, degrees): 4.683 4.683 10.854 90.00 90.00 90.00
Positions (direct):
Ba: 0.250 0.250 0.239
Ba: 0.750 0.750 0.761
Cu: 0.250 0.250 0.631
Cu: 0.250 0.750 0.000
Cu: 0.750 0.250 0.000
Cu: 0.750 0.750 0.369
Sb: 0.250 0.250 0.874
Sb: 0.250 0.750 0.500
Sb: 0.750 0.250 0.500
Sb: 0.750 0.750 0.126

Record 3
Computed XRD peak list of KLaMg6O8 for copper Kα, from a DFT-relaxed cell (PBE, the Materials Project).

Main lines, low angle first (10 to 90 degrees two-theta):
- 2θ = 19.15°, intensity 71
- 2θ = 21.45°, intensity 40
- 2θ = 27.21°, intensity 59
- 2θ = 33.49°, intensity 53
- 2θ = 38.73°, intensity 46
- 2θ = 38.93°, intensity 100
- 2θ = 56.08°, intensity 56
- 2θ = 56.23°, intensity 30

Structure:
Lattice parameters (Å, degrees): 4.627 4.627 9.300 90.00 90.00 90.00
Positions (direct):
K: 0.000 0.000 0.000
La: 0.000 0.000 0.500
Mg: 0.000 0.500 0.224
Mg: 0.000 0.500 0.776
Mg: 0.500 0.000 0.224
Mg: 0.500 0.000 0.776
Mg: 0.500 0.500 0.000
Mg: 0.500 0.500 0.500
O: 0.000 0.000 0.254
O: 0.000 0.000 0.746
O: 0.000 0.500 0.000
O: 0.000 0.500 0.500
O: 0.500 0.000 0.000
O: 0.500 0.000 0.500
O: 0.500 0.500 0.249
O: 0.500 0.500 0.751

Record 4
Computed XRD peak list of Zr4Co4Ge7 for copper Kα, from a DFT-relaxed cell (PBE, the Materials Project).

Main lines, low angle first (10 to 90 degrees two-theta):
- 2θ = 34.15°, intensity 14
- 2θ = 37.95°, intensity 100
- 2θ = 38.33°, intensity 16
- 2θ = 40.52°, intensity 45
- 2θ = 40.75°, intensity 23
- 2θ = 45.06°, intensity 12
- 2θ = 46.14°, intensity 14
- 2θ = 63.67°, intensity 21

Structure:
____________
2 When did you decide you wanted this world record?
All my life, I’ve had a competitive spirit. The first world record I had was for holding my breath underwater back in the late ‘50s. (Editor’s note: Sanders held his breath for six minutes and four seconds.) In the mid ‘60s, I was the United States champion underwater spear-fisherman, and I was in the circus for a while as an acrobat. I’m only 5’6” and sometimes I think I wanted to overcome my stature and show that I’m bigger than I really am.
3 Where on the river did you fear for your life?
Blanchard Dam [in Minnesota] is the mother of all portages. I knew a storm was brewing, but I didn’t want to get caught on the lake. I decided that maybe I could get all my stuff to the other side before the rain came in. That wasn’t the case. It took five trips—three-quarters of a mile each way—to get all the gear through the woods, over old railway tracks and up some hills. After my second trip, the storm came. It was 35°F and raining hard, with lightning and wind. That went on for about three hours. I was near hypothermic.
4 Why do you listen to classical music when you paddle?
Classical music is unbelievable for soothing the mind. You’re already slowing your life down by paddling, and getting into that music just puts you into a trance, a mood. I could paddle probably eight to 10 hours now, without ever getting bored.
5What’s the next adventure?
Hundreds of people of age have said to me, “You will never know how much your journey down the Mississippi River has given me hope.” That’s one of the reasons I have to try and become the oldest person to hike the 2,185-mile Appalachian Trail from Georgia to Maine in 2017. If I can do that, I feel I really will become an inspiration for the older people in the world.
Dale Sanders has since returned to again reclaim the title of oldest person to paddle the Mississippi. His journey is documented in Graybeard, an official selection of the 2023 Paddling Film Festival. Available to stream today as part of the Adventure Program.
Dale Sanders prefers Tchaikovsky to Beethoven. | Feature photo: Paul Colletti